Filter the calculation results below: keep the lines with the word "tetragonal".
____________
Material: LiCu2RuO6
Method: DFT, GGA-PBE
State: relaxed

* space-group type: P1 (1)
* formation energy (no corrections): -0.7947 eV per atom
* total magnetization: 0.000 μB per atom
* E_tot: -0.420 Ry/atom
* crystal system: triclinic
* DOS(E_F): 0.603 states/eV/atom

```
LiCu2RuO6
1.0
-1.102 -4.771 -1.479
4.874 1.433 0.604
-1.049 1.351 5.266
Li Cu Ru O
1 2 1 6
direct
0.999 0.499 0.485
0.605 0.802 0.393
0.485 0.241 0.712
0.015 0.007 0.008
0.527 0.907 0.704
0.459 0.075 0.199
0.828 0.753 0.198
0.138 0.384 0.197
0.811 0.619 0.704
0.099 0.190 0.704
```

---

Material: FeCo2Pd
Method: DFT, GGA-PBE
State: relaxed

* space-group type: P4/mmm (123)
* formation energy: 0.027 eV/atom
* total magnetization: 1.691 μB per atom
* E_tot: -0.510 Ry/atom
* crystal system: tetragonal
* energy relative to the lowest polymorph listed for this composition: 0.0000 eV per atom
* DOS(E_F): 1.046 states/eV/atom

```
FeCo2Pd
1.0
3.710 0.000 0.000
0.000 3.667 0.000
0.000 0.000 3.667
Co Fe Pd
2 1 1
direct
0.000 0.000 0.500
0.000 0.500 0.000
0.500 0.500 0.500
0.500 0.000 0.000
```

---

Material: KLiPb2F8
Method: DFT, GGA-PBE
State: relaxed

* space-group type: P2/m (10)
* formation energy (no corrections): -2.3126 eV per atom
* total magnetization: 0.000 μB per atom
* E_tot: -0.326 Ry/atom
____________
* crystal system: tetragonal